The reader should return the part of the material below that starts with the line with "-0.7023 5.2218" and stops after the one with "1.0343".

********
(1)
ORCA calculation (wB97M-V/def2-TZVPD) on a molecular structure, C24H61AlBr2FN4O7P2 at a distorted geometry.

Structure (XYZ):
```
102
C24H61AlBr2FN4O7P2 wB97M-V/def2-TZVPD
C 6.7120 -3.8424 4.9667
C 5.8893 -2.6780 4.2613
Br 6.8445 -0.9582 4.0845
C 4.6001 -2.8084 3.7635
Br 3.7772 -4.6265 3.9611
Al 3.4690 -1.3750 2.8412
F 2.5553 -0.4220 4.1342
C 4.4675 -0.2153 1.5006
C 4.2395 1.3505 1.6589
C 4.5223 1.9257 3.1125
C 3.2213 2.5973 3.7898
C 5.6598 3.0567 3.0033
P 1.8102 -2.5663 1.6235
P -0.0319 -1.4355 1.4927
O -0.1935 -0.3369 2.5342
O -1.3516 -2.5188 1.6914
O -0.2416 -0.7909 -0.0780
H 7.3466 -4.3412 4.1771
H 6.0603 -4.5552 5.5367
H 7.4034 -3.3236 5.7055
H 5.5756 -0.4826 1.4527
H 4.0664 -0.4890 0.4654
H 4.9903 1.8601 0.9642
H 3.2222 1.7054 1.3240
H 4.8946 1.1714 3.8577
H 3.0480 2.0971 4.7958
H 2.3191 2.3823 3.1490
H 3.3699 3.6955 4.0039
H 6.0254 3.3970 4.0184
H 6.5665 2.6963 2.4336
H 5.2528 3.9509 2.4263
H 2.3962 -2.7462 0.3168
H -1.3114 -2.7966 2.6267
H -0.8122 0.0154 -0.0214
C -2.1383 2.8464 -2.2809
C -2.6746 2.8711 -0.8528
C -3.1665 4.2608 -0.4046
O -2.1250 5.1745 -0.0802
C -1.5358 5.8151 -1.1978
N -1.6485 2.3446 0.0516
H -1.1402 3.2796 -2.3619
H -2.0648 1.8168 -2.6402
H -2.8017 3.3890 -2.9611
H -3.5353 2.1948 -0.8207
H -3.7405 4.1319 0.5178
H -3.8537 4.7018 -1.1384
H -2.2621 6.0083 -1.9927
H -0.7023 5.2218 -1.5790
H -1.1299 6.7715 -0.8606
H -2.0475 2.2672 0.9858
H -0.9346 3.0646 0.1543
C -1.8727 -5.5987 0.0990
C -0.7850 -5.0581 -0.8232
C -0.6045 -5.8826 -2.1134
O 0.0929 -7.1109 -1.9369
C -0.7045 -8.1740 -1.4487
N 0.4673 -4.9507 -0.0675
H -1.5517 -6.4831 0.6527
H -2.1473 -4.8443 0.8390
H -2.7746 -5.8573 -0.4643
H -1.0894 -4.0494 -1.1228
H 0.0098 -5.2959 -2.8034
H -1.5636 -6.0533 -2.6195
H -1.7297 -8.1280 -1.8272
H -0.7011 -8.1798 -0.3571
H -0.2543 -9.1117 -1.7829
H 1.1636 -4.4944 -0.6522
H 0.8335 -5.8950 0.0504
C 2.9941 1.8534 -6.5638
C 3.0642 2.4359 -5.1553
C 1.8260 2.1202 -4.2944
O 0.6774 2.8995 -4.6085
C -0.0607 2.4330 -5.7233
N 3.3038 3.8813 -5.2496
H 2.3336 2.4223 -7.2204
H 3.9837 1.8626 -7.0269
H 2.6459 0.8172 -6.5444
H 3.9276 1.9788 -4.6612
H 2.0682 2.3639 -3.2556
H 1.5841 1.0508 -4.3133
H -0.0501 1.3421 -5.7978
H 0.3183 2.8823 -6.6438
H -1.0954 2.7611 -5.6010
H 3.4527 4.2493 -4.3126
H 2.4287 4.3142 -5.5420
C -5.3882 -0.0740 0.6813
C -5.3133 0.5046 2.0909
C -6.5448 0.1794 2.9576
O -7.7008 0.9525 2.6531
C -8.4433 0.4859 1.5409
N -5.0825 1.9517 1.9997
H -6.0561 0.4934 0.0299
H -4.4011 -0.0579 0.2131
H -5.7300 -1.1122 0.6993
H -4.4443 0.0509 2.5781
H -6.2979 0.4212 3.9959
H -6.7801 -0.8918 2.9360
H -8.4270 -0.6047 1.4625
H -8.0722 0.9399 0.6200
H -9.4792 0.8075 1.6706
H -4.9300 2.3182 2.9369
H -5.9616 2.3816 1.7138
```

Properties
charge: -1
HOMO energy: -4.676 eV
ΔE to the lowest compared entry with this formula, charge and spin: 161.39 kJ/mol

Here are the Mulliken charges for atoms 1 to 5, given in e: -1.172 0.126 -0.204 0.305 -0.264


(2)
ORCA calculation (wB97M-V/def2-TZVPD) on a molecular structure, C24H61AlO15S2 at a distorted geometry.

Structure (XYZ):
```
103
C24H61AlO15S2 wB97M-V/def2-TZVPD
Al -0.3535 0.1232 -0.1452
C -3.2516 4.9786 0.5008
C -2.4892 4.0591 -0.4149
O -1.9941 2.8749 0.1614
H -3.9128 4.3894 1.1361
H -3.8070 5.7075 -0.0894
H -2.5848 5.4933 1.1926
H -1.7650 4.7448 -0.8546
H -3.1693 3.7587 -1.2119
C -1.9369 -4.7515 -0.7677
C -1.0027 -4.2015 0.2993
O -0.5991 -2.8522 0.1698
H -2.9142 -4.2991 -0.5999
H -2.0381 -5.8367 -0.7532
H -1.6387 -4.5707 -1.8004
H -0.1173 -4.8360 0.3392
H -1.4760 -4.3735 1.2660
C 3.1709 0.0351 -3.9061
C 2.7307 -0.1814 -2.5108
O 1.4175 -0.7535 -2.4417
H 2.5823 0.8636 -4.3003
H 3.1917 -0.8664 -4.5185
H 4.1708 0.4484 -3.7736
H 2.7395 0.7756 -1.9892
H 3.4743 -0.7689 -1.9723
C -4.0643 -1.4807 0.9244
O -3.0935 -0.4360 1.0343
C -3.0126 0.1161 2.3489
C -2.2359 -0.8561 3.3252
O -0.9131 -1.0293 2.8609
C -0.1989 -1.9317 3.6528
H -3.5987 -2.0843 0.1453
H -4.9175 -1.0164 0.4297
H -4.2565 -2.1532 1.7603
H -4.0248 0.1927 2.7461
H -2.5409 1.0919 2.2332
H -2.8709 -1.7228 3.5089
********

H -0.7023 5.2218 -1.5790
H -1.1299 6.7715 -0.8606
H -2.0475 2.2672 0.9858
H -0.9346 3.0646 0.1543
C -1.8727 -5.5987 0.0990
C -0.7850 -5.0581 -0.8232
C -0.6045 -5.8826 -2.1134
O 0.0929 -7.1109 -1.9369
C -0.7045 -8.1740 -1.4487
N 0.4673 -4.9507 -0.0675
H -1.5517 -6.4831 0.6527
H -2.1473 -4.8443 0.8390
H -2.7746 -5.8573 -0.4643
H -1.0894 -4.0494 -1.1228
H 0.0098 -5.2959 -2.8034
H -1.5636 -6.0533 -2.6195
H -1.7297 -8.1280 -1.8272
H -0.7011 -8.1798 -0.3571
H -0.2543 -9.1117 -1.7829
H 1.1636 -4.4944 -0.6522
H 0.8335 -5.8950 0.0504
C 2.9941 1.8534 -6.5638
C 3.0642 2.4359 -5.1553
C 1.8260 2.1202 -4.2944
O 0.6774 2.8995 -4.6085
C -0.0607 2.4330 -5.7233
N 3.3038 3.8813 -5.2496
H 2.3336 2.4223 -7.2204
H 3.9837 1.8626 -7.0269
H 2.6459 0.8172 -6.5444
H 3.9276 1.9788 -4.6612
H 2.0682 2.3639 -3.2556
H 1.5841 1.0508 -4.3133
H -0.0501 1.3421 -5.7978
H 0.3183 2.8823 -6.6438
H -1.0954 2.7611 -5.6010
H 3.4527 4.2493 -4.3126
H 2.4287 4.3142 -5.5420
C -5.3882 -0.0740 0.6813
C -5.3133 0.5046 2.0909
C -6.5448 0.1794 2.9576
O -7.7008 0.9525 2.6531
C -8.4433 0.4859 1.5409
N -5.0825 1.9517 1.9997
H -6.0561 0.4934 0.0299
H -4.4011 -0.0579 0.2131
H -5.7300 -1.1122 0.6993
H -4.4443 0.0509 2.5781
H -6.2979 0.4212 3.9959
H -6.7801 -0.8918 2.9360
H -8.4270 -0.6047 1.4625
H -8.0722 0.9399 0.6200
H -9.4792 0.8075 1.6706
H -4.9300 2.3182 2.9369
H -5.9616 2.3816 1.7138
```

Properties
charge: -1
HOMO energy: -4.676 eV
ΔE to the lowest compared entry with this formula, charge and spin: 161.39 kJ/mol

Here are the Mulliken charges for atoms 1 to 5, given in e: -1.172 0.126 -0.204 0.305 -0.264


(2)
ORCA calculation (wB97M-V/def2-TZVPD) on a molecular structure, C24H61AlO15S2 at a distorted geometry.

Structure (XYZ):
```
103
C24H61AlO15S2 wB97M-V/def2-TZVPD
Al -0.3535 0.1232 -0.1452
C -3.2516 4.9786 0.5008
C -2.4892 4.0591 -0.4149
O -1.9941 2.8749 0.1614
H -3.9128 4.3894 1.1361
H -3.8070 5.7075 -0.0894
H -2.5848 5.4933 1.1926
H -1.7650 4.7448 -0.8546
H -3.1693 3.7587 -1.2119
C -1.9369 -4.7515 -0.7677
C -1.0027 -4.2015 0.2993
O -0.5991 -2.8522 0.1698
H -2.9142 -4.2991 -0.5999
H -2.0381 -5.8367 -0.7532
H -1.6387 -4.5707 -1.8004
H -0.1173 -4.8360 0.3392
H -1.4760 -4.3735 1.2660
C 3.1709 0.0351 -3.9061
C 2.7307 -0.1814 -2.5108
O 1.4175 -0.7535 -2.4417
H 2.5823 0.8636 -4.3003
H 3.1917 -0.8664 -4.5185
H 4.1708 0.4484 -3.7736
H 2.7395 0.7756 -1.9892
H 3.4743 -0.7689 -1.9723
C -4.0643 -1.4807 0.9244
O -3.0935 -0.4360 1.0343